_What to do_
Next, retype the data further below from the first line to the one with "90.05 119.77" with every line break kept.
_Contents_
/*
Fe4O3F5: optimized geometry, PBE+U.

abc: 6.2142 4.8457 9.6547
angles: 88.01 90.00 90.00
Fractional positions:
O 0.2500 0.8190 0.9071
O 0.4972 0.2864 0.3582
O 0.7500 0.1810 0.0929
O 0.5028 0.7136 0.6418
O 0.0028 0.2864 0.3582
O 0.9972 0.7136 0.6418
F 0.2500 0.1824 0.5937
F 0.4974 0.6723 0.1686
F 0.5026 0.3277 0.8314
F 0.7500 0.1997 0.6003
F 0.7500 0.7845 0.8959
F 0.9974 0.3277 0.8314
F 0.2500 0.8003 0.3997
F 0.0026 0.6723 0.1686
F 0.7500 0.8176 0.4063
F 0.2500 0.2155 0.1041
Fe 0.0000 0.0000 0.5000
Fe 0.5000 0.0000 0.5000
Fe 0.0000 0.0000 0.0000
Fe 0.5000 0.0000 0.0000
Fe 0.2500 0.4607 0.2693
Fe 0.7500 0.5393 0.7307
Fe 0.2500 0.5913 0.7589
Fe 0.7500 0.4087 0.2411

Properties
- energy relative to the elements (eV per atom) = -2.1211
- E (eV per cell) = -140.71
- crystal system = monoclinic

=====

BaAlCr4O7: optimized geometry, PBE+U.

abc: 6.1073 6.1073 10.4724
angles: 90.00 90.00 120.00
Fractional positions:
O 0.8147 0.6294 0.9922
O 0.4875 0.5125 0.2652
O 0.0000 0.0000 0.7799
O 0.0249 0.5125 0.2652
O 0.5125 0.0249 0.7652
O 0.5125 0.4875 0.7652
O 0.3706 0.1853 0.9922
O 0.1853 0.3706 0.4922
O 0.0000 0.0000 0.2799
O 0.6294 0.8147 0.4922
O 0.9751 0.4875 0.7652
O 0.8147 0.1853 0.9922
O 0.1853 0.8147 0.4922
O 0.4875 0.9751 0.2652
Cr 0.6762 0.8381 0.6868
Cr 0.0000 0.0000 0.9615
Cr 0.3238 0.1619 0.1868
Cr 0.8381 0.6762 0.1868
Cr 0.8381 0.1619 0.1868
Cr 0.0000 0.0000 0.4615
Cr 0.1619 0.8381 0.6868
Cr 0.1619 0.3238 0.6868
Ba 0.3333 0.6667 0.9894
Ba 0.6667 0.3333 0.4894
Al 0.3333 0.6667 0.3704
Al 0.6667 0.3333 0.8704

Properties
- energy relative to the elements (eV per atom) = -2.1076
- E (eV per cell) = -187.01
- crystal system = hexagonal

=====

Li3Cr2CuO6: optimized geometry, PBE+U.

abc: 15.2953 9.7557 9.7557
angles: 17.38 16.82 16.82
Fractional positions:
Cr 0.3286 0.0044 0.0044
Cr 0.0047 0.9956 0.9956
O 0.9202 0.2538 0.2538
O 0.2440 0.2590 0.2590
O 0.0893 0.7410 0.7410
O 0.4131 0.7462 0.7462
O 0.5771 0.2609 0.2609
O 0.7562 0.7391 0.7391
Li 0.8241 0.5050 0.5050
Li 0.1667 0.5000 0.5000
Li 0.5093 0.4950 0.4950
Cu 0.6667 0.0000 0.0000

Properties
- energy relative to the elements (eV per atom) = -2.0515
- E (eV per cell) = -75.32
- crystal system = monoclinic

=====

Li3TiCo3O8: optimized geometry, PBE+U.

abc: 5.8638 5.8638 5.8638
angles: 57.96 57.96 57.96
Fractional positions:
O 0.7373 0.7373 0.7373
O 0.7601 0.2614 0.7601
O 0.2614 0.7601 0.7601
O 0.2627 0.2627 0.2627
O 0.7386 0.2399 0.2399
O 0.2399 0.7386 0.2399
O 0.7601 0.7601 0.2614
O 0.2399 0.2399 0.7386
Li 0.0000 0.0000 0.5000
Li 0.5000 0.0000 0.0000
Li 0.0000 0.5000 0.0000
Co 0.0000 0.5000 0.5000
Co 0.5000 0.0000 0.5000
Co 0.5000 0.5000 0.0000
Ti 0.0000 0.0000 0.0000

Properties
- energy relative to the elements (eV per atom) = -2.0268
- E (eV per cell) = -94.52
- crystal system = trigonal

=====

La3NdCr4O12: optimized geometry, PBE+U.

abc: 7.8729 5.5738 5.5751
angles: 89.94 90.00 90.00
Fractional positions:
Nd 0.0000 0.4894 0.4633
O 0.2920 0.7175 0.2829
O 0.7080 0.7175 0.2829
O 0.2931 0.7835 0.7836
O 0.0000 0.9123 0.5144
O 0.5000 0.0797 0.4859
O 0.7069 0.7835 0.7836
O 0.5000 0.4194 0.9857
O 0.7964 0.2847 0.7152
O 0.2036 0.2847 0.7152
O 0.0000 0.5803 0.0199
O 0.2040 0.2206 0.2201
O 0.7960 0.2206 0.2201
Cr 0.2490 0.9998 0.5003
Cr 0.7510 0.9998 0.5003
Cr 0.7506 0.5002 0.9992
Cr 0.2494 0.5002 0.9992
La 0.0000 0.0074 0.9706
La 0.5000 0.9918 0.0295
La 0.5000 0.5070 0.5282

Properties
- energy relative to the elements (eV per atom) = -3.1749
- E (eV per cell) = -164.82
- crystal system = monoclinic

=====

Ba4Fe4O11: optimized geometry, PBE+U.

abc: 5.7686 5.7956 28.4396
angles: 90.20 90.05 119.77
Fractional positions:
O 0.6615 0.8358 0.5410
O 0.5506 0.0555 0.3740
O 0.1589 0.3147 0.7105
O 0.1559 0.8224 0.2089
O 0.3152 0.1582 0.2897
O 0.4997 0.9969 0.1274
O 0.9637 0.4769 0.8734
O 0.6688 0.8390 0.0401
O 0.3156 0.1533 0.4595
O 0.0440 0.5216 0.1168
O 0.3266 0.1773 0.9646
O 0.1806 0.8410 0.7063
O 0.8389 0.1774 0.4564
O 0.8500 0.1769 0.9645
O 0.6659 0.8252 0.2109
O 0.5005 0.5573 0.6257
*/
_Here it is_
Fe4O3F5: optimized geometry, PBE+U.

abc: 6.2142 4.8457 9.6547
angles: 88.01 90.00 90.00
Fractional positions:
O 0.2500 0.8190 0.9071
O 0.4972 0.2864 0.3582
O 0.7500 0.1810 0.0929
O 0.5028 0.7136 0.6418
O 0.0028 0.2864 0.3582
O 0.9972 0.7136 0.6418
F 0.2500 0.1824 0.5937
F 0.4974 0.6723 0.1686
F 0.5026 0.3277 0.8314
F 0.7500 0.1997 0.6003
F 0.7500 0.7845 0.8959
F 0.9974 0.3277 0.8314
F 0.2500 0.8003 0.3997
F 0.0026 0.6723 0.1686
F 0.7500 0.8176 0.4063
F 0.2500 0.2155 0.1041
Fe 0.0000 0.0000 0.5000
Fe 0.5000 0.0000 0.5000
Fe 0.0000 0.0000 0.0000
Fe 0.5000 0.0000 0.0000
Fe 0.2500 0.4607 0.2693
Fe 0.7500 0.5393 0.7307
Fe 0.2500 0.5913 0.7589
Fe 0.7500 0.4087 0.2411

Properties
- energy relative to the elements (eV per atom) = -2.1211
- E (eV per cell) = -140.71
- crystal system = monoclinic

=====

BaAlCr4O7: optimized geometry, PBE+U.

abc: 6.1073 6.1073 10.4724
angles: 90.00 90.00 120.00
Fractional positions:
O 0.8147 0.6294 0.9922
O 0.4875 0.5125 0.2652
O 0.0000 0.0000 0.7799
O 0.0249 0.5125 0.2652
O 0.5125 0.0249 0.7652
O 0.5125 0.4875 0.7652
O 0.3706 0.1853 0.9922
O 0.1853 0.3706 0.4922
O 0.0000 0.0000 0.2799
O 0.6294 0.8147 0.4922
O 0.9751 0.4875 0.7652
O 0.8147 0.1853 0.9922
O 0.1853 0.8147 0.4922
O 0.4875 0.9751 0.2652
Cr 0.6762 0.8381 0.6868
Cr 0.0000 0.0000 0.9615
Cr 0.3238 0.1619 0.1868
Cr 0.8381 0.6762 0.1868
Cr 0.8381 0.1619 0.1868
Cr 0.0000 0.0000 0.4615
Cr 0.1619 0.8381 0.6868
Cr 0.1619 0.3238 0.6868
Ba 0.3333 0.6667 0.9894
Ba 0.6667 0.3333 0.4894
Al 0.3333 0.6667 0.3704
Al 0.6667 0.3333 0.8704

Properties
- energy relative to the elements (eV per atom) = -2.1076
- E (eV per cell) = -187.01
- crystal system = hexagonal

=====

Li3Cr2CuO6: optimized geometry, PBE+U.

abc: 15.2953 9.7557 9.7557
angles: 17.38 16.82 16.82
Fractional positions:
Cr 0.3286 0.0044 0.0044
Cr 0.0047 0.9956 0.9956
O 0.9202 0.2538 0.2538
O 0.2440 0.2590 0.2590
O 0.0893 0.7410 0.7410
O 0.4131 0.7462 0.7462
O 0.5771 0.2609 0.2609
O 0.7562 0.7391 0.7391
Li 0.8241 0.5050 0.5050
Li 0.1667 0.5000 0.5000
Li 0.5093 0.4950 0.4950
Cu 0.6667 0.0000 0.0000

Properties
- energy relative to the elements (eV per atom) = -2.0515
- E (eV per cell) = -75.32
- crystal system = monoclinic

=====

Li3TiCo3O8: optimized geometry, PBE+U.

abc: 5.8638 5.8638 5.8638
angles: 57.96 57.96 57.96
Fractional positions:
O 0.7373 0.7373 0.7373
O 0.7601 0.2614 0.7601
O 0.2614 0.7601 0.7601
O 0.2627 0.2627 0.2627
O 0.7386 0.2399 0.2399
O 0.2399 0.7386 0.2399
O 0.7601 0.7601 0.2614
O 0.2399 0.2399 0.7386
Li 0.0000 0.0000 0.5000
Li 0.5000 0.0000 0.0000
Li 0.0000 0.5000 0.0000
Co 0.0000 0.5000 0.5000
Co 0.5000 0.0000 0.5000
Co 0.5000 0.5000 0.0000
Ti 0.0000 0.0000 0.0000

Properties
- energy relative to the elements (eV per atom) = -2.0268
- E (eV per cell) = -94.52
- crystal system = trigonal

=====

La3NdCr4O12: optimized geometry, PBE+U.

abc: 7.8729 5.5738 5.5751
angles: 89.94 90.00 90.00
Fractional positions:
Nd 0.0000 0.4894 0.4633
O 0.2920 0.7175 0.2829
O 0.7080 0.7175 0.2829
O 0.2931 0.7835 0.7836
O 0.0000 0.9123 0.5144
O 0.5000 0.0797 0.4859
O 0.7069 0.7835 0.7836
O 0.5000 0.4194 0.9857
O 0.7964 0.2847 0.7152
O 0.2036 0.2847 0.7152
O 0.0000 0.5803 0.0199
O 0.2040 0.2206 0.2201
O 0.7960 0.2206 0.2201
Cr 0.2490 0.9998 0.5003
Cr 0.7510 0.9998 0.5003
Cr 0.7506 0.5002 0.9992
Cr 0.2494 0.5002 0.9992
La 0.0000 0.0074 0.9706
La 0.5000 0.9918 0.0295
La 0.5000 0.5070 0.5282

Properties
- energy relative to the elements (eV per atom) = -3.1749
- E (eV per cell) = -164.82
- crystal system = monoclinic

=====

Ba4Fe4O11: optimized geometry, PBE+U.

abc: 5.7686 5.7956 28.4396
angles: 90.20 90.05 119.77